• Input:
=====
1.
{
  "formula": "C5H10NO",
  "method": "ωB97M-V with the def2-TZVPD basis set",
  "symbols": ["O", "H", "H", "H", "H", "H", "C", "C", "H", "H", "C", "C", "H", "H", "H", "N", "C"],
  "coordinates": [[2.22016, 0.58640, -1.12783], [-1.39737, -1.31464, 1.35864], [-1.66575, 1.02544, 0.77516], [0.28239, 0.99573, -2.09560], [2.05517, 0.45747, 1.26832], [0.59795, 0.52772, 2.17687], [-0.94626, -1.91974, -0.71550], [1.09751, 0.97290, -1.25878], [-1.33735, 0.73634, -1.01718], [-0.81151, -3.01626, -0.68784], [0.39345, 1.20961, 0.06980], [-0.98642, 0.45451, 0.04311], [-1.04368, -1.46504, -1.66646], [1.15476, -0.71700, 0.92410], [0.32946, 2.27183, 0.39184], [1.09466, 0.23855, 1.21363], [-1.03717, -1.04382, 0.34773]],
  "forces_ev_per_angstrom": [[0.44, -0.08, -1.93], [0.98, -0.16, -0.51], [0.76, -0.88, -1.16], [2.16, 0.13, 0.25], [1.68, 0.96, 0.40], [1.43, -1.61, -2.67], [0.03, 0.73, 2.75], [-1.23, -0.55, 1.70], [-0.20, -0.82, 1.56], [-0.57, 0.78, 0.32], [-1.29, -2.85, 1.80], [-1.93, 2.54, -0.47], [0.54, 0.20, -1.08], [-1.20, -1.07, -0.07], [0.21, -0.89, 0.13], [-1.23, 4.46, 1.22], [-0.60, -0.90, -2.23]],
  "nbo_charge": [-0.472, 0.239, 0.245, 0.169, 0.441, 0.467, -0.307, 0.418, 0.235, 0.238, -0.101, -0.482, 0.195, 0.460, 0.268, -0.724, -0.290],
  "e_lumo_ev": -4.0218,
  "homo_energy_ev": -14.0,
  "smiles": "C=CC[C@@H]([NH3+])C=O",
  "homo_lumo_gap_ev": 9.98,
  "total_charge": 1,
  "relative_energy_kj_mol": 340.1
}

---

2.
{
  "formula": "C5H10NO",
  "method": "ωB97M-V with the def2-TZVPD basis set",
  "symbols": ["H", "H", "C", "H", "C", "C", "H", "H", "H", "H", "C", "H", "H", "C", "N", "H", "O"],
  "coordinates": [[0.38241, 1.49142, -1.28353], [2.70127, 0.65491, -0.08960], [-0.26210, 1.03662, 0.71874], [-2.58880, -1.29963, -0.16553], [-0.82144, -0.19939, 0.19779], [-2.23446, -0.34047, -0.35637], [-2.70662, 0.58452, 0.16041], [1.78929, -2.14730, -0.00703], [1.90953, 0.03109, -1.57529], [1.43039, -1.07748, 1.43141], [1.69954, 0.13046, -0.44729], [0.18388, 0.87531, 1.74234], [-2.20433, -0.26623, -1.40064], [1.24304, -1.11993, 0.32870], [0.58866, 1.05520, -0.39480], [-0.98044, 1.89137, 1.01918], [-0.12982, -1.30049, 0.12149]],
  "forces_ev_per_angstrom": [[-0.50, 0.30, 0.54], [-2.04, -1.45, -0.02], [-1.60, 0.49, 4.00], [-0.92, -1.49, 0.88], [-2.06, -1.24, -0.88], [1.71, 3.81, 2.46], [-0.30, -2.03, -1.26], [-1.36, 2.63, 0.59], [-0.39, -0.66, 1.73], [-0.02, 0.38, -0.93], [2.05, 1.52, -1.29], [0.51, 0.19, -1.18], [-0.07, 0.54, -1.66], [3.26, -2.99, 0.54], [1.26, 0.71, -1.67], [1.04, -1.22, -1.58], [-0.57, 0.50, -0.27]],
  "nbo_charge": [0.436, 0.255, -0.356, 0.274, 0.643, -0.672, 0.243, 0.262, 0.241, 0.221, -0.274, 0.250, 0.266, -0.136, -0.534, 0.286, -0.405],
  "e_lumo_ev": -4.1135,
  "homo_energy_ev": -14.2,
  "homo_lumo_gap_ev": 10.05,
  "total_charge": 1,
  "relative_energy_kj_mol": 303.3
}

~~~~~

Computed, not measured: 10 unconnected molecules or ions with the total composition C44H62B2ClFN11O2 at a distorted geometry, with ωB97M-V/def2-TZVPD.

Structure (XYZ):
```
123
Properties=species:S:1:pos:R:3:forces:R:3:mulliken_charge:R:1
C -3.444994 6.331552 2.561615 -0.193 -0.180 -0.350 -1.188
C -4.154751 5.224918 3.311842 -0.147 0.255 0.561 -0.543
C -3.233761 4.194497 3.926949 0.038 -0.230 -0.606 0.417
Cl -4.312953 3.123647 4.967754 0.015 -0.035 0.018 -0.323
B -2.295904 3.357990 2.870219 0.146 -0.243 0.132 -0.937
C -1.788833 1.929070 3.588070 0.506 0.612 -0.427 -1.793
C -0.548348 1.350709 2.998207 -0.150 -0.305 0.252 1.156
C -0.539539 0.934661 1.561035 0.597 -0.120 0.052 -0.508
N 0.543660 1.165714 3.630736 0.453 0.017 -0.027 -0.884
C -3.028291 3.074189 1.401016 -1.278 -0.323 -0.135 -0.177
C -3.986881 1.950786 1.400137 1.186 -2.624 -0.199 0.207
O -3.712022 0.755466 1.331691 -0.974 2.344 0.233 -0.642
F -5.334705 2.246205 1.449617 0.279 0.341 0.098 -0.362
B -0.840797 4.226086 2.602491 -0.232 0.436 0.117 1.161
N -0.030674 4.719091 3.714408 -0.087 -0.590 -0.373 -0.743
O -0.319499 4.480061 1.329655 -0.178 -0.418 0.148 -0.715
=====

• What to do:
Please find "0.266, -0.136," and "-0.642" in the block earlier on, and duplicate these two lines and those between.

• Solution:
  "nbo_charge": [0.436, 0.255, -0.356, 0.274, 0.643, -0.672, 0.243, 0.262, 0.241, 0.221, -0.274, 0.250, 0.266, -0.136, -0.534, 0.286, -0.405],
  "e_lumo_ev": -4.1135,
  "homo_energy_ev": -14.2,
  "homo_lumo_gap_ev": 10.05,
  "total_charge": 1,
  "relative_energy_kj_mol": 303.3
}

~~~~~

Computed, not measured: 10 unconnected molecules or ions with the total composition C44H62B2ClFN11O2 at a distorted geometry, with ωB97M-V/def2-TZVPD.

Structure (XYZ):
```
123
Properties=species:S:1:pos:R:3:forces:R:3:mulliken_charge:R:1
C -3.444994 6.331552 2.561615 -0.193 -0.180 -0.350 -1.188
C -4.154751 5.224918 3.311842 -0.147 0.255 0.561 -0.543
C -3.233761 4.194497 3.926949 0.038 -0.230 -0.606 0.417
Cl -4.312953 3.123647 4.967754 0.015 -0.035 0.018 -0.323
B -2.295904 3.357990 2.870219 0.146 -0.243 0.132 -0.937
C -1.788833 1.929070 3.588070 0.506 0.612 -0.427 -1.793
C -0.548348 1.350709 2.998207 -0.150 -0.305 0.252 1.156
C -0.539539 0.934661 1.561035 0.597 -0.120 0.052 -0.508
N 0.543660 1.165714 3.630736 0.453 0.017 -0.027 -0.884
C -3.028291 3.074189 1.401016 -1.278 -0.323 -0.135 -0.177
C -3.986881 1.950786 1.400137 1.186 -2.624 -0.199 0.207
O -3.712022 0.755466 1.331691 -0.974 2.344 0.233 -0.642